Source
- - -
89
Properties=species:S:1:pos:R:3:lowdin_charge:R:1 method="wB97M-V/def2-TZVPD" total_energy_ha=-3356.37324 s_squared=0.82 spin_multiplicity=2
Ru 1.258 1.008 0.165 1.199
C 0.164 1.998 3.489 -0.208
C -0.895 2.889 2.846 -0.171
C -1.107 2.644 1.343 -0.282
N 0.125 2.632 0.593 -0.127
C 0.735 3.797 0.304 -0.208
C 0.223 5.029 0.724 -0.008
C 0.757 6.316 0.700 -0.064
C 1.956 6.755 0.164 -0.107
C 2.842 6.016 -0.599 -0.072
C 2.768 4.673 -0.980 -0.012
C 1.911 3.644 -0.583 -0.209
N 2.065 2.381 -1.022 -0.124
C 3.019 2.076 -2.057 -0.234
C 3.157 0.569 -2.242 -0.199
C 3.783 -0.085 -1.010 -0.271
N 2.837 -0.170 0.072 -0.147
C 3.113 -0.915 1.155 -0.241
C 4.349 -1.544 1.319 -0.016
C 4.865 -2.339 2.353 -0.066
C 4.226 -2.824 3.478 -0.107
C 2.891 -2.646 3.816 -0.067
C 1.917 -1.857 3.198 -0.015
C 1.965 -1.011 2.087 -0.203
N 0.916 -0.251 1.707 -0.123
C -0.317 -0.297 2.452 -0.241
C -0.267 0.554 3.731 -0.169
H 0.420 2.432 4.459 0.109
H 1.072 2.000 2.867 0.096
H -0.574 3.921 2.989 0.095
H -1.849 2.766 3.360 0.117
H -1.792 3.403 0.945 0.085
H -1.608 1.686 1.176 0.066
H -0.736 4.986 1.211 0.089
H 0.150 7.063 1.194 0.105
H 2.205 7.795 0.329 0.097
H 3.698 6.556 -0.983 0.103
H 3.553 4.380 -1.662 0.088
H 4.020 2.469 -1.816 0.113
H 2.682 2.543 -2.994 0.134
H 3.795 0.375 -3.106 0.116
H 2.179 0.116 -2.430 0.028
H 4.670 0.498 -0.700 0.129
H 4.110 -1.091 -1.300 0.069
H 5.059 -1.391 0.519 0.092
H 5.896 -2.637 2.223 0.104
H 4.815 -3.435 4.153 0.098
H 2.551 -3.175 4.697 0.103
H 0.966 -1.902 3.710 0.088
H -0.595 -1.330 2.705 0.109
H -1.109 0.078 1.804 0.072
H 0.442 0.100 4.427 0.099
H -1.250 0.539 4.203 0.116
S -2.354 2.214 -1.683 0.235
P -2.111 0.270 -1.561 0.071
S -0.221 -0.470 -1.554 0.345
C -3.037 -0.561 -0.196 -0.376
C -4.359 -0.204 0.039 -0.085
C -5.128 -0.962 0.902 -0.079
C -4.588 -2.080 1.521 -0.086
C -3.267 -2.429 1.296 -0.087
C -2.492 -1.670 0.441 -0.158
C -2.989 -0.616 -2.901 -0.374
C -2.947 -2.005 -2.896 -0.113
C -3.781 -2.724 -3.728 -0.087
C -4.648 -2.058 -4.583 -0.088
C -4.654 -0.673 -4.622 -0.080
C -3.831 0.050 -3.777 -0.098
H -4.779 0.656 -0.468 0.100
H -6.158 -0.691 1.084 0.102
H -5.199 -2.682 2.177 0.099
H -2.837 -3.298 1.775 0.100
H -1.458 -1.929 0.260 0.048
H -2.273 -2.499 -2.211 0.065
H -3.782 -3.806 -3.685 0.097
H -5.331 -2.623 -5.204 0.101
H -5.325 -0.155 -5.293 0.103
H -3.845 1.131 -3.774 0.067
C -1.121 -5.128 -1.282 -0.077
N -0.038 -4.209 -1.027 -0.067
C 0.840 -3.776 -1.950 -0.985
N 0.560 -3.941 -3.259 0.107
S 2.283 -3.122 -1.461 0.642
H -1.625 -5.339 -0.343 0.086
H -0.752 -6.068 -1.700 0.090
H -1.847 -4.696 -1.973 0.060
H 0.295 -4.122 -0.078 0.110
H -0.386 -4.116 -3.561 0.090
H 1.161 -3.455 -3.905 0.093



88
Properties=species:S:1:pos:R:3:lowdin_charge:R:1 method="wB97M-V/def2-TZVPD" total_energy_ha=-2004.05720 charge=+5 de_lowest_kcal_mol=49.1
N -7.938 -17.354 -7.304 -0.615
O -7.292 -17.638 -6.280 -0.072
O -9.096 -17.796 -7.456 -0.052
O -7.378 -16.792 -8.257 -0.068
C -10.003 -20.888 -6.743 0.028
N -8.772 -21.326 -7.364 -0.078
C -7.556 -20.805 -6.921 0.077
C -6.412 -21.488 -7.375 0.041
C -6.446 -22.411 -8.410 -0.145
C -7.689 -22.919 -8.836 0.095
C -8.835 -22.307 -8.230 0.019
C -5.169 -22.817 -9.113 -0.130
C -4.064 -23.454 -8.474 0.078
C -3.031 -23.919 -9.321 0.011
N -2.856 -23.659 -10.614 -0.076
C -3.859 -22.909 -11.237 0.082
C -5.046 -22.520 -10.482 0.055
C -1.665 -24.061 -11.380 0.051
H -9.996 -20.650 -5.679 0.129
H -10.768 -21.647 -6.908 0.112
H -10.252 -20.011 -7.340 0.099
H -7.506 -20.137 -6.074 0.136
H -5.438 -21.143 -7.060 0.129
H -7.793 -23.563 -9.696 0.139
H -9.829 -22.610 -8.525 0.153
H -4.103 -23.567 -7.401 0.138
H -2.261 -24.439 -8.769 0.154
H -3.747 -22.569 -12.256 0.147
H -5.692 -21.846 -11.025 0.128
H -1.219 -23.148 -11.773 0.118
H -1.890 -24.812 -12.138 0.128
H -0.939 -24.471 -10.677 0.113
C -5.841 -16.058 -0.356 0.024
N -5.101 -16.226 -1.556 -0.099
C -5.802 -16.220 -2.711 0.049
C -5.107 -16.361 -3.910 0.044
C -3.727 -16.371 -3.931 -0.114
C -3.038 -16.201 -2.727 0.067
C -3.739 -16.186 -1.521 0.066
- - -

Assignment
Now quote the contents earlier on character by character.

Completed
89
Properties=species:S:1:pos:R:3:lowdin_charge:R:1 method="wB97M-V/def2-TZVPD" total_energy_ha=-3356.37324 s_squared=0.82 spin_multiplicity=2
Ru 1.258 1.008 0.165 1.199
C 0.164 1.998 3.489 -0.208
C -0.895 2.889 2.846 -0.171
C -1.107 2.644 1.343 -0.282
N 0.125 2.632 0.593 -0.127
C 0.735 3.797 0.304 -0.208
C 0.223 5.029 0.724 -0.008
C 0.757 6.316 0.700 -0.064
C 1.956 6.755 0.164 -0.107
C 2.842 6.016 -0.599 -0.072
C 2.768 4.673 -0.980 -0.012
C 1.911 3.644 -0.583 -0.209
N 2.065 2.381 -1.022 -0.124
C 3.019 2.076 -2.057 -0.234
C 3.157 0.569 -2.242 -0.199
C 3.783 -0.085 -1.010 -0.271
N 2.837 -0.170 0.072 -0.147
C 3.113 -0.915 1.155 -0.241
C 4.349 -1.544 1.319 -0.016
C 4.865 -2.339 2.353 -0.066
C 4.226 -2.824 3.478 -0.107
C 2.891 -2.646 3.816 -0.067
C 1.917 -1.857 3.198 -0.015
C 1.965 -1.011 2.087 -0.203
N 0.916 -0.251 1.707 -0.123
C -0.317 -0.297 2.452 -0.241
C -0.267 0.554 3.731 -0.169
H 0.420 2.432 4.459 0.109
H 1.072 2.000 2.867 0.096
H -0.574 3.921 2.989 0.095
H -1.849 2.766 3.360 0.117
H -1.792 3.403 0.945 0.085
H -1.608 1.686 1.176 0.066
H -0.736 4.986 1.211 0.089
H 0.150 7.063 1.194 0.105
H 2.205 7.795 0.329 0.097
H 3.698 6.556 -0.983 0.103
H 3.553 4.380 -1.662 0.088
H 4.020 2.469 -1.816 0.113
H 2.682 2.543 -2.994 0.134
H 3.795 0.375 -3.106 0.116
H 2.179 0.116 -2.430 0.028
H 4.670 0.498 -0.700 0.129
H 4.110 -1.091 -1.300 0.069
H 5.059 -1.391 0.519 0.092
H 5.896 -2.637 2.223 0.104
H 4.815 -3.435 4.153 0.098
H 2.551 -3.175 4.697 0.103
H 0.966 -1.902 3.710 0.088
H -0.595 -1.330 2.705 0.109
H -1.109 0.078 1.804 0.072
H 0.442 0.100 4.427 0.099
H -1.250 0.539 4.203 0.116
S -2.354 2.214 -1.683 0.235
P -2.111 0.270 -1.561 0.071
S -0.221 -0.470 -1.554 0.345
C -3.037 -0.561 -0.196 -0.376
C -4.359 -0.204 0.039 -0.085
C -5.128 -0.962 0.902 -0.079
C -4.588 -2.080 1.521 -0.086
C -3.267 -2.429 1.296 -0.087
C -2.492 -1.670 0.441 -0.158
C -2.989 -0.616 -2.901 -0.374
C -2.947 -2.005 -2.896 -0.113
C -3.781 -2.724 -3.728 -0.087
C -4.648 -2.058 -4.583 -0.088
C -4.654 -0.673 -4.622 -0.080
C -3.831 0.050 -3.777 -0.098
H -4.779 0.656 -0.468 0.100
H -6.158 -0.691 1.084 0.102
H -5.199 -2.682 2.177 0.099
H -2.837 -3.298 1.775 0.100
H -1.458 -1.929 0.260 0.048
H -2.273 -2.499 -2.211 0.065
H -3.782 -3.806 -3.685 0.097
H -5.331 -2.623 -5.204 0.101
H -5.325 -0.155 -5.293 0.103
H -3.845 1.131 -3.774 0.067
C -1.121 -5.128 -1.282 -0.077
N -0.038 -4.209 -1.027 -0.067
C 0.840 -3.776 -1.950 -0.985
N 0.560 -3.941 -3.259 0.107
S 2.283 -3.122 -1.461 0.642
H -1.625 -5.339 -0.343 0.086
H -0.752 -6.068 -1.700 0.090
H -1.847 -4.696 -1.973 0.060
H 0.295 -4.122 -0.078 0.110
H -0.386 -4.116 -3.561 0.090
H 1.161 -3.455 -3.905 0.093



88
Properties=species:S:1:pos:R:3:lowdin_charge:R:1 method="wB97M-V/def2-TZVPD" total_energy_ha=-2004.05720 charge=+5 de_lowest_kcal_mol=49.1
N -7.938 -17.354 -7.304 -0.615
O -7.292 -17.638 -6.280 -0.072
O -9.096 -17.796 -7.456 -0.052
O -7.378 -16.792 -8.257 -0.068
C -10.003 -20.888 -6.743 0.028
N -8.772 -21.326 -7.364 -0.078
C -7.556 -20.805 -6.921 0.077
C -6.412 -21.488 -7.375 0.041
C -6.446 -22.411 -8.410 -0.145
C -7.689 -22.919 -8.836 0.095
C -8.835 -22.307 -8.230 0.019
C -5.169 -22.817 -9.113 -0.130
C -4.064 -23.454 -8.474 0.078
C -3.031 -23.919 -9.321 0.011
N -2.856 -23.659 -10.614 -0.076
C -3.859 -22.909 -11.237 0.082
C -5.046 -22.520 -10.482 0.055
C -1.665 -24.061 -11.380 0.051
H -9.996 -20.650 -5.679 0.129
H -10.768 -21.647 -6.908 0.112
H -10.252 -20.011 -7.340 0.099
H -7.506 -20.137 -6.074 0.136
H -5.438 -21.143 -7.060 0.129
H -7.793 -23.563 -9.696 0.139
H -9.829 -22.610 -8.525 0.153
H -4.103 -23.567 -7.401 0.138
H -2.261 -24.439 -8.769 0.154
H -3.747 -22.569 -12.256 0.147
H -5.692 -21.846 -11.025 0.128
H -1.219 -23.148 -11.773 0.118
H -1.890 -24.812 -12.138 0.128
H -0.939 -24.471 -10.677 0.113
C -5.841 -16.058 -0.356 0.024
N -5.101 -16.226 -1.556 -0.099
C -5.802 -16.220 -2.711 0.049
C -5.107 -16.361 -3.910 0.044
C -3.727 -16.371 -3.931 -0.114
C -3.038 -16.201 -2.727 0.067
C -3.739 -16.186 -1.521 0.066